[To do]
Could you start at the top of the block further down and transcribe each line, ending with the one that has "0.0441"?

[Given]
=====
For Rb3Sm3ReS8, a cell relaxed with GGA-PBE gives the calculated X-ray powder pattern in this record (Cu Kα (λ = 1.5418 Å)).

Largest 10 diffraction maxima, by angle, 15 to 90 degrees two-theta:
h k l  d [Å]  I (rel.)
0 0 6  3.927  26
2 0 2  3.336  43
0 2 4  2.995  100
0 2 7  2.419  15
2 0 8  2.248  36
2 2 0  2.008  32
0 2 10  1.951  17
2 2 6  1.788  20
4 0 4  1.668  16
2 4 4  1.283  13

Cell and atoms:
Unit cell a=8.0317 b=8.0317 c=23.5619 alpha=90.00 beta=90.00 gamma=120.00
Space group R-3m (No. 166, hexagonal axes)
One atom of each set of equivalent atoms:
Rb  0.0000  0.5000  0.0000
Sm  0.0000  0.5000  0.5000
Re  0.0000  0.0000  0.5000
S  0.0000  0.0000  0.2322
S  0.0358  0.5179  0.2266

For Rb2ReTc, a cell relaxed with GGA-PBE gives the calculated X-ray powder pattern in this record (Cu Kα (λ = 1.5418 Å)).

Largest 10 diffraction maxima, by angle, 15 to 90 degrees two-theta:
h k l  d [Å]  I (rel.)
2 2 0  4.684  37
3 1 0  4.190  28
2 1 1  3.624  61
4 0 0  3.312  67
4 2 0  2.963  100
1 1 2  2.225  31
6 2 0  2.095  27
3 1 2  2.009  44
5 1 2  1.718  29
5 5 2  1.450  24

Cell and atoms:
Unit cell a=13.2488 b=13.2488 c=4.5800 alpha=90.00 beta=90.00 gamma=90.00
Space group I-42d (No. 122)
One atom of each set of equivalent atoms:
Rb  0.0696  0.2500  0.1250
Re  0.0000  0.0000  0.5000
Tc  0.0000  0.0000  0.0000

For RbReTe2, a cell relaxed with GGA-PBE gives the calculated X-ray powder pattern in this record (Cu Kα (λ = 1.5418 Å)).

Largest 10 diffraction maxima, by angle, 15 to 90 degrees two-theta:
h k l  d [Å]  I (rel.)
1 1 2  3.477  100
2 1 1  3.376  26
2 2 0  2.896  28
2 1 3  2.273  21
3 1 2  2.225  40
3 2 1  2.198  24
2 0 4  1.920  30
4 2 0  1.832  20
3 3 2  1.765  12
5 1 2  1.507  12

Cell and atoms:
Unit cell a=8.1920 b=8.1920 c=8.6961 alpha=90.00 beta=90.00 gamma=90.00
Space group I-42d (No. 122)
One atom of each set of equivalent atoms:
Rb  0.0000  0.0000  0.0000
Re  0.0000  0.0000  0.5000
Te  0.1392  0.2500  0.6250

For RbReTe, a cell relaxed with GGA-PBE gives the calculated X-ray powder pattern in this record (Cu Kα (λ = 1.5418 Å)).

Largest 10 diffraction maxima, by angle, 15 to 90 degrees two-theta:
h k l  d [Å]  I (rel.)
6 0 0  3.946  40
5 1 0  3.251  51
3 1 -1  2.889  41
7 1 0  2.698  69
3 1 1  2.661  100
5 1 1  2.378  46
9 1 -1  2.100  59
12 0 0  1.972  42
2 2 -1  1.944  41
2 2 1  1.894  54

Cell and atoms:
Unit cell a=24.0221 b=4.4690 c=3.9969 alpha=90.00 beta=99.56 gamma=90.00
Space group C2 (No. 5)
One atom of each set of equivalent atoms:
Rb  0.1574  0.0000  0.1564
Re  0.0000  0.0441  0.5000
Re  0.0000  0.7125  0.0000
Te  0.0729  0.5019  0.5727

For RbZn2Re, a cell relaxed with GGA-PBE gives the calculated X-ray powder pattern in this record (Cu Kα (λ = 1.5418 Å)).

Largest 10 diffraction maxima, by angle, 15 to 90 degrees two-theta:
h k l  d [Å]  I (rel.)
1 0 1  5.140  67
1 1 2  3.482  100
2 0 0  2.693  25
1 1 6  2.292  32
2 0 4  2.283  32
2 1 3  2.221  16
0 0 8  2.153  16
2 2 4  1.741  32
3 1 2  1.671  24
3 1 6  1.465  16

Cell and atoms:
Unit cell a=5.3850 b=5.3850 c=17.2203 alpha=90.00 beta=90.00 gamma=90.00
Space group I4_1/amd (No. 141, origin choice 2)
One atom of each set of equivalent atoms:
Rb  0.0000  0.2500  0.3750
Zn  0.0000  0.0000  0.0000
Re  0.0000  0.2500  0.8750

For RbRuRh, a cell relaxed with GGA-PBE gives the calculated X-ray powder pattern in this record (Cu Kα (λ = 1.5418 Å)).

Largest 10 diffraction maxima, by angle, 15 to 90 degrees two-theta:
h k l  d [Å]  I (rel.)
0 0 2  5.786  18
0 0 3  3.858  33
2 0 -1  3.493  64
2 0 -3  2.661  40
1 1 3  2.654  56
1 1 -4  2.273  52
2 0 4  2.267  31
3 1 0  2.116  100
3 1 -1  2.081  52
0 2 3  1.856  17

Cell and atoms:
Unit cell a=7.3285 b=4.2314 c=11.5729 alpha=90.00 beta=90.24 gamma=90.00
Space group C2/m (No. 12)
One atom of each set of equivalent atoms:
Rb  0.1688  0.0000  0.3076
Ru  0.1667  0.0000  0.9985
Rh  0.0007  0.5000  0.1103
=====

[Completed]
For Rb3Sm3ReS8, a cell relaxed with GGA-PBE gives the calculated X-ray powder pattern in this record (Cu Kα (λ = 1.5418 Å)).

Largest 10 diffraction maxima, by angle, 15 to 90 degrees two-theta:
h k l  d [Å]  I (rel.)
0 0 6  3.927  26
2 0 2  3.336  43
0 2 4  2.995  100
0 2 7  2.419  15
2 0 8  2.248  36
2 2 0  2.008  32
0 2 10  1.951  17
2 2 6  1.788  20
4 0 4  1.668  16
2 4 4  1.283  13

Cell and atoms:
Unit cell a=8.0317 b=8.0317 c=23.5619 alpha=90.00 beta=90.00 gamma=120.00
Space group R-3m (No. 166, hexagonal axes)
One atom of each set of equivalent atoms:
Rb  0.0000  0.5000  0.0000
Sm  0.0000  0.5000  0.5000
Re  0.0000  0.0000  0.5000
S  0.0000  0.0000  0.2322
S  0.0358  0.5179  0.2266

For Rb2ReTc, a cell relaxed with GGA-PBE gives the calculated X-ray powder pattern in this record (Cu Kα (λ = 1.5418 Å)).

Largest 10 diffraction maxima, by angle, 15 to 90 degrees two-theta:
h k l  d [Å]  I (rel.)
2 2 0  4.684  37
3 1 0  4.190  28
2 1 1  3.624  61
4 0 0  3.312  67
4 2 0  2.963  100
1 1 2  2.225  31
6 2 0  2.095  27
3 1 2  2.009  44
5 1 2  1.718  29
5 5 2  1.450  24

Cell and atoms:
Unit cell a=13.2488 b=13.2488 c=4.5800 alpha=90.00 beta=90.00 gamma=90.00
Space group I-42d (No. 122)
One atom of each set of equivalent atoms:
Rb  0.0696  0.2500  0.1250
Re  0.0000  0.0000  0.5000
Tc  0.0000  0.0000  0.0000

For RbReTe2, a cell relaxed with GGA-PBE gives the calculated X-ray powder pattern in this record (Cu Kα (λ = 1.5418 Å)).

Largest 10 diffraction maxima, by angle, 15 to 90 degrees two-theta:
h k l  d [Å]  I (rel.)
1 1 2  3.477  100
2 1 1  3.376  26
2 2 0  2.896  28
2 1 3  2.273  21
3 1 2  2.225  40
3 2 1  2.198  24
2 0 4  1.920  30
4 2 0  1.832  20
3 3 2  1.765  12
5 1 2  1.507  12

Cell and atoms:
Unit cell a=8.1920 b=8.1920 c=8.6961 alpha=90.00 beta=90.00 gamma=90.00
Space group I-42d (No. 122)
One atom of each set of equivalent atoms:
Rb  0.0000  0.0000  0.0000
Re  0.0000  0.0000  0.5000
Te  0.1392  0.2500  0.6250

For RbReTe, a cell relaxed with GGA-PBE gives the calculated X-ray powder pattern in this record (Cu Kα (λ = 1.5418 Å)).

Largest 10 diffraction maxima, by angle, 15 to 90 degrees two-theta:
h k l  d [Å]  I (rel.)
6 0 0  3.946  40
5 1 0  3.251  51
3 1 -1  2.889  41
7 1 0  2.698  69
3 1 1  2.661  100
5 1 1  2.378  46
9 1 -1  2.100  59
12 0 0  1.972  42
2 2 -1  1.944  41
2 2 1  1.894  54

Cell and atoms:
Unit cell a=24.0221 b=4.4690 c=3.9969 alpha=90.00 beta=99.56 gamma=90.00
Space group C2 (No. 5)
One atom of each set of equivalent atoms:
Rb  0.1574  0.0000  0.1564
Re  0.0000  0.0441  0.5000